=====
1.
Molecular formula: C44H58FN11O4W
Method: DFT, ωB97M-V/def2-TZVPD

Structure (XYZ):
```
119
Properties=species:S:1:pos:R:3:mulliken_charge:R:1
W 1.173 0.392 0.088 2.5000
F -5.532 -1.621 0.270 -0.3562
C -4.650 -1.492 1.266 0.2139
C -3.394 -1.103 0.915 -0.8853
C -2.393 -0.908 1.882 0.2476
C -1.076 -0.510 1.583 1.3168
O -0.582 -0.277 0.365 -1.6423
C -0.159 -0.373 2.649 -0.5030
C -0.538 -0.625 3.938 -0.4771
N -1.792 -0.997 4.240 0.2871
C -2.090 -1.354 5.621 -0.4318
C -2.991 -0.489 6.458 -0.3916
C -1.525 -0.542 6.746 -0.9899
C -2.745 -1.140 3.243 -0.4268
C -4.040 -1.536 3.569 -0.2053
C -5.044 -1.735 2.610 -0.6256
N -6.298 -2.124 2.991 0.2131
C -6.664 -2.126 4.407 -0.7589
C -8.175 -2.208 4.578 -1.3133
N -8.703 -3.486 3.996 0.0070
C -8.045 -3.809 2.673 -0.8912
C -7.357 -2.580 2.089 -0.5619
C 1.098 0.248 2.156 1.0108
O 2.139 -0.407 1.690 -0.5792
O 0.977 1.501 1.758 -0.4777
H -3.187 -0.939 -0.135 0.6913
H 0.147 -0.540 4.769 0.8078
H -2.138 -2.427 5.763 0.4936
H -3.674 -0.976 7.140 0.3147
H -3.373 0.422 6.015 0.2152
H -1.181 -1.086 7.614 0.2789
H -0.949 0.348 6.530 0.3573
H -4.268 -1.706 4.607 0.7846
H -6.336 -1.199 4.883 0.7444
H -6.182 -2.959 4.935 0.4305
H -8.662 -1.375 4.077 0.3992
H -8.432 -2.160 5.634 0.4750
H -9.717 -3.414 3.886 0.3804
H -8.541 -4.253 4.650 0.3707
H -8.789 -4.184 1.974 0.4577
H -7.310 -4.594 2.841 0.3420
H -8.084 -1.785 1.897 0.2765
H -6.952 -2.873 1.129 0.4852
C 1.201 -3.175 0.341 -1.0657
N 0.759 -3.137 -1.041 0.2230
C -0.183 -4.197 -1.385 -1.1873
C 1.179 -2.241 -1.948 0.3922
N 1.447 -0.936 -1.607 0.1942
C 2.532 -0.340 -2.309 -0.4550
C 3.741 -0.791 -2.642 -1.3309
C 4.659 0.283 -3.161 0.5150
C 4.048 2.773 -2.809 -0.7729
C 3.312 3.118 -1.770 -1.5535
C 2.383 1.991 -1.353 2.7025
N 0.971 2.173 -1.000 -0.4934
C 0.530 3.219 -0.225 -0.4076
N 1.288 4.168 0.350 0.5298
C 2.524 3.959 1.111 -1.1366
C 0.777 5.533 0.498 -1.1721
N -0.804 3.343 -0.163 0.1543
C -1.668 2.658 -1.125 -0.9237
C -1.477 3.858 1.024 -1.2645
N 1.299 -2.673 -3.210 0.2758
C 1.770 -4.021 -3.524 -1.2210
C 1.090 -1.837 -4.382 -0.9685
H 1.482 -4.203 0.578 0.4836
H 0.402 -2.893 1.027 0.1882
H 2.073 -2.552 0.491 0.2860
H -1.000 -4.183 -0.661 0.3485
H 0.286 -5.181 -1.345 0.4160
H -0.603 -4.038 -2.373 0.3969
H 4.121 -1.794 -2.499 0.6078
H 5.072 0.046 -4.142 0.9844
H 4.823 3.341 -3.298 0.6362
H 3.430 4.045 -1.234 0.5293
H 2.958 2.985 0.952 0.3477
H 2.300 4.063 2.174 0.3538
H 3.248 4.731 0.849 0.4171
H -0.081 5.696 -0.146 0.3668
H 1.567 6.221 0.195 0.3824
H 0.519 5.769 1.532 0.4365
H -1.334 2.873 -2.138 0.3187
H -2.678 3.042 -1.006 0.4278
H -1.679 1.578 -0.977 0.2349
H -0.759 4.077 1.807 0.4218
H -2.159 3.092 1.399 0.3651
H -2.053 4.755 0.792 0.4100
H 2.095 -4.542 -2.629 0.3917
H 2.627 -3.934 -4.195 0.4054
H 1.008 -4.610 -4.035 0.4045
H 0.590 -0.915 -4.111 0.2477
H 0.463 -2.386 -5.087 0.4936
H 2.034 -1.607 -4.879 0.3113
C 4.289 1.912 -5.772 -0.9315
N 3.294 1.613 -4.754 -0.4305
N 3.667 1.470 -3.383 0.8583
C 2.383 1.125 -2.662 0.6087
O 2.885 1.206 -0.309 -0.5840
C 1.328 1.451 -3.674 -1.8374
C 1.915 1.704 -4.851 0.4707
C 1.293 1.999 -6.167 -1.8477
C 5.806 0.631 -2.229 -0.2341
C 6.871 1.374 -2.741 -0.3321
C 7.913 1.768 -1.919 -0.7269
C 7.911 1.405 -0.579 -0.6290
C 6.883 0.621 -0.078 -1.0108
C 5.832 0.234 -0.897 0.2414
H 5.199 2.301 -5.319 0.2959
H 3.910 2.682 -6.441 0.3838
H 4.536 1.027 -6.359 0.3498
H 0.277 1.430 -3.447 0.7364
H 0.211 1.936 -6.095 0.4615
H 1.642 1.294 -6.922 0.3687
H 1.554 3.003 -6.507 0.4176
H 6.906 1.630 -3.795 0.4184
H 8.732 2.343 -2.328 0.4473
H 8.724 1.713 0.064 0.4278
H 6.901 0.298 0.955 0.4587
H 5.043 -0.378 -0.489 0.3862
```

The total energy is -75657.34545 eV. The gap between HOMO and LUMO comes out at 6.52 eV. The net charge is +4. For the energy above the lowest of the compared OMol25 structures with the same formula, charge and spin, the calculation gives 74.38 kJ/mol.

=====

2.
Molecular formula: C35H39N3NiP2
Method: DFT, ωB97M-V/def2-TZVPD

Structure (XYZ):
```
80
Properties=species:S:1:pos:R:3:mulliken_spin:R:1
=====

The reader should say how many lines of the block above hold the word "between", as a bare number.

1